Leaders in Learning: Publications of Faculty & Staff

The University of Western Ontario

Medical Biophysics: 1997-1998



Eichelbroenner, O., C.G. Ellis, and W.J. Sibbald. 1998. The red blood cell: New ideas about an old friend. Yearbook of Intensive Care and Emergency Medicine 1998. J.-L. Vincent. Springer. 191-201.



MacDonald, I.C., E.E. Schmidt, V.L. Morris, A.C. Groom, and A.F. Chambers. 1998. In vivo videomicroscopy of experimental hematogenous metastasis: Cancer cell arrest, extravasation, and migration (Chapter 12). Motion Analysis of Living Cells. D.R. Soll, and D. Wessels. New York, NY: Wiley-Liss, Inc. 263-288.



MacDonald, I.C., E.E. Schmidt, V.L. Morris, A.C. Groom, and A.F. Chambers. 1998. In vivo videomicroscopy of experimental hematogenous metastasis: Cancer cell arrest, extravasation, and migration (Chapter 12). Motion Analysis of Living Cells. D.R. Soll, and D. Wessels. New York, NY: Wiley-Liss, Inc. 263-288.

........
1.
DFT (ωB97M-V/def2-TZVPD) results for a gas-phase ion, C5H11ClIN2 (charge +1).

energy: -1064.13665 hartree
gap between HOMO and LUMO: 8.4 eV
max |F|: 5.234 eV/Å
HOMO: -13.67 eV
SMILES: C[C@H](Cl)/N=[N+](/C)[C@H](C)I

Geometry as ORCA input:
```
! wB97M-V def2-TZVPD RIJCOSX def2/J DEFGRID3
* xyz 1 1
C 2.237 2.111 -0.725
C -1.373 -1.631 1.648
C -0.019 -1.703 -0.954
C 0.720 1.764 -0.647
C -1.200 -0.359 0.804
N 0.478 0.456 -0.747
N -0.204 -0.416 -0.304
Cl -0.080 2.635 0.814
I -3.140 0.204 -0.092
H 2.690 2.015 0.241
H 2.641 1.203 -1.303
H 2.223 3.090 -1.068
H -1.960 -2.453 1.010
H -0.559 -1.931 2.180
H -2.052 -1.310 2.416
H -1.051 -2.215 -1.241
H 0.443 -2.230 -0.144
H 0.761 -1.684 -1.694
H 0.294 2.018 -1.661
H -0.850 0.436 1.468
*
```

2.
DFT (ωB97M-V/def2-TZVPD) results for a molecular structure, C45H51BiF6N6O8PS5.

energy: -5822.11179 hartree
gap between HOMO and LUMO: 7.2 eV
max |F|: 0.460 eV/Å
HOMO: -5.39 eV

Geometry as ORCA input:
```
! wB97M-V def2-TZVPD RIJCOSX def2/J DEFGRID3
* xyz -1 1
Bi -1.780 0.062 -0.808
F -5.437 -2.674 3.978
C -4.214 -2.447 3.501
F -4.013 -3.255 2.461
F -3.333 -2.766 4.450
S -4.045 -0.656 2.963
O -3.460 -0.734 1.649
O -5.371 -0.125 3.066
N -3.139 -0.035 4.087
S -1.661 0.464 3.974
O -1.534 1.876 4.190
O -0.873 -0.125 2.917
C -0.980 -0.259 5.524
F -1.653 0.154 6.596
F 0.293 0.134 5.653
F -1.001 -1.593 5.501
C 5.408 1.371 -5.192
C 3.998 0.948 -4.894
C 3.466 -0.213 -5.447
C 2.185 -0.634 -5.126
C 1.426 0.111 -4.235
C 1.933 1.278 -3.689
C 3.211 1.690 -4.020
S -0.183 -0.500 -3.809
O -0.760 -0.959 -5.048
O -0.028 -1.466 -2.741
N -1.008 0.698 -3.149
C -1.530 1.738 -3.879
C -1.055 2.222 -5.083
C -1.602 3.376 -5.672
C -2.647 4.047 -5.103
C -3.230 3.531 -3.922
C -4.389 4.084 -3.336
C -4.968 3.472 -2.264
C -4.366 2.314 -1.744
N -3.258 1.805 -2.223
C -2.680 2.382 -3.311
H 5.761 0.944 -6.131
H 6.067 1.030 -4.390
H 5.491 2.457 -5.247
H 4.069 -0.801 -6.129
H 1.767 -1.534 -5.558
H 1.322 1.853 -3.009
H 3.623 2.585 -3.568
H -0.243 1.706 -5.576
H -1.173 3.738 -6.598
H -3.054 4.943 -5.552
H -4.820 4.980 -3.767
H -5.872 3.855 -1.810
H -4.811 1.801 -0.900
C -0.267 -2.700 0.840
N -1.497 -2.252 0.199
C -2.418 -3.020 -0.214
C -3.533 -2.482 -0.944
C -4.643 -3.143 -1.432
C -5.425 -2.181 -2.096
C -4.752 -0.980 -1.986
N -3.606 -1.143 -1.276
C -0.335 -4.061 1.474
C -0.145 -5.213 0.716
C -0.261 -6.468 1.298
C -0.571 -6.582 2.646
C -0.759 -5.438 3.410
C -0.641 -4.185 2.825
H -0.013 -1.946 1.584
H 0.506 -2.674 0.070
H -2.408 -4.100 -0.046
H -4.841 -4.197 -1.316
H -6.363 -2.335 -2.605
H -5.032 -0.027 -2.397
H 0.106 -5.122 -0.336
H -0.107 -7.357 0.698
H -0.661 -7.561 3.102
H -1.005 -5.517 4.461
H -0.787 -3.289 3.417
C 2.625 -0.992 3.224
C 3.609 0.091 3.646
C 4.830 -0.482 4.345
O 4.042 0.961 2.581
P 4.378 0.549 1.062
S 5.752 1.754 0.400
S 2.659 0.434 0.024
O 4.944 -0.950 1.264
C 4.612 -2.066 0.420
C 5.106 -3.307 1.137
C 5.232 -1.902 -0.955
H 2.088 -1.350 4.101
H 3.140 -1.837 2.768
H 1.898 -0.616 2.506
H 3.100 0.774 4.331
H 5.386 -1.114 3.653
........



Fitzgerald, R.D., R.F. Potter, G.E. Dietz, and W.J. Sibbald. 1997. Animal models for blood transfusion: a model for sterile blood sampling in the rat. Acta Anaesthesiologica Scandinavica 111 (Supplementum): 253-256.

Piper, R.D., M.L. Pitt-Hyde, L.A. Anderson, W.J. Sibbald, and R.F. Potter. 1998. Leukocyte activation and flow behavior in rat skeletal muscle in sepsis. American Journal of Respiratory and Critical Care Medicine 157: 129-134.

Pudupakkam, S., K.A. Harris, W.G. Jamieson, G. DeRose, J.A. Scott, M.W. Carson, M.G. Schlag, P.R. Kvietys, and R.F. Potter. 1998. Ischemic tolerance in skeletal muscle: role of nitric oxide. American Journal of Physiology 275 (44): H94-H99.



Sundell, P.M., and M.R. Roach. 1998. The role of taper on the distribution of atherosclerosis in the human infra-renal aorta. Atherosclerosis 139: 123-129.



MacDonald, I.C., E.E. Schmidt, V.L. Morris, A.C. Groom, and A.F. Chambers. 1998. In vivo videomicroscopy of experimental hematogenous metastasis: Cancer cell arrest, extravasation, and migration (Chapter 12). Motion Analysis of Living Cells. D.R. Soll, and D. Wessels. New York, NY: Wiley-Liss, Inc. 263-288.



Moore, J.A., D.A. Steinman, and C.R. Ethier. 1998. Computational blood flow modelling: Errors associated with reconstructing finite element models from magnetic resonance images. Journal of Biomechanics 31: 179-184.

Steinman, D.A., and B.K. Rutt. 1998. On the nature and reduction of plaque-mimicking flow artifacts in black blood MRI of the carotid bifurcation. Magnetic Resonance in Medicine 39: 635-641.

• Records of molecules, as found in the file:
- - -
The following is a quantum chemistry calculation of C34H86CrN7O13 as an isolated structure, from the Open Molecules 2025 dataset.

Highest occupied orbital energy (alpha / beta) ... -8.87 / -8.99 eV
Lowest unoccupied orbital energy (alpha / beta) ... -0.330 / 0.367 eV
⟨S²⟩ ... 3.780
Relative energy (zero: lowest compared OMol25 entry of this formula, charge and spin) ... 18.2 kcal/mol
Orbital gap (alpha / beta) ... 8.543 / 9.360 eV
Spin multiplicity ... 4

Geometry as XYZ:
```
141
Properties=species:S:1:pos:R:3:forces:R:3:lowdin_charge:R:1
Cr 2.543827 0.559084 -3.655390 -1.628 1.653 1.641 1.116
C 0.047383 0.119310 -6.894341 -0.435 0.066 0.142 0.021
C 0.903292 0.144400 -5.656451 1.933 0.068 0.066 -0.665
O 0.706448 0.930717 -4.695880 -0.758 1.123 1.235 -0.059
O 1.957724 -0.531743 -5.531900 0.229 -1.021 -1.012 -0.049
H -0.531678 1.030043 -7.044526 0.047 0.085 0.485 0.082
H -0.666813 -0.696407 -6.769611 0.068 -0.106 -0.254 0.089
H 0.624428 -0.001995 -7.807759 0.238 -0.428 0.223 0.085
C 6.109013 -0.704217 -2.179136 0.338 -0.513 -0.163 0.021
C 4.821691 -0.207269 -2.749571 -1.316 0.330 -0.719 -0.653
O 4.362336 0.958506 -2.556749 0.211 0.734 0.698 -0.076
O 4.092620 -0.902775 -3.501575 0.646 -1.550 -0.421 -0.053
H 6.276426 -1.723172 -2.524743 -0.072 0.028 -0.039 0.086
H 6.131337 -0.725911 -1.091145 -0.239 0.277 0.017 0.089
H 6.947716 -0.100973 -2.526330 -0.111 0.184 0.046 0.089
C 0.680867 1.025307 -0.088539 0.459 0.000 -0.645 0.043
C 1.393803 0.882087 -1.396591 -0.385 0.094 -2.563 -0.617
O 1.609400 -0.229468 -1.972067 0.233 -1.172 0.553 -0.062
O 1.691755 1.874445 -2.123677 0.638 0.664 -0.079 -0.041
H 1.476967 1.057608 0.657203 -0.343 -0.107 0.396 0.083
H -0.000213 0.183657 0.012178 0.175 -0.092 0.368 0.075
H 0.116781 1.955566 -0.110511 0.110 0.061 0.153 0.084
C 3.698020 4.142701 -3.717416 -0.800 0.379 -0.276 -0.040
C 2.813425 3.446005 -4.764719 1.064 -0.500 1.303 -0.337
C 2.825591 4.165509 -6.121658 -0.301 0.457 1.602 -0.207
O 2.343810 3.276979 -7.088773 -0.158 0.351 -0.352 -0.177
C 2.435129 3.827507 -8.378785 0.270 -0.054 -1.345 -0.100
N 3.341493 2.020027 -4.888150 -0.481 1.581 -1.621 0.023
H 4.743948 4.095037 -4.023911 0.034 0.185 0.000 0.087
H 3.602152 3.699249 -2.728294 -0.076 -0.286 -0.127 0.074
H 3.368733 5.181047 -3.615969 0.287 0.063 -0.072 0.087
H 1.785055 3.387024 -4.408251 0.018 -0.152 -0.078 0.136
H 3.779161 4.647085 -6.369783 0.321 -0.593 -0.174 0.135
H 2.169199 5.022761 -5.907649 -0.310 -0.042 -0.641 0.138
H 3.456878 3.790928 -8.776691 0.179 0.257 0.413 0.094
H 2.060979 4.850896 -8.452579 0.025 0.068 0.333 0.093
H 1.885276 3.258135 -9.131309 -0.358 -0.324 0.572 0.090
H 4.352977 2.132932 -4.849271 0.014 -0.455 0.239 0.113
H 3.127286 1.946405 -5.892081 0.139 -1.308 0.204 0.099
C -5.809956 -2.826631 0.068629 -0.505 0.054 -0.262 -0.062
C -5.639885 -1.311990 0.068051 -0.254 -0.009 -1.026 -0.418
C -4.422609 -0.878268 -0.757370 0.101 -0.027 0.584 -0.239
O -4.240375 0.506249 -0.531996 0.056 0.418 0.339 -0.200
- - -



Mitchell, D.J., J. Yu, and K. Tyml. 1998. Local L-NAME decreases blood flow and increases leukocyte adhesion via CD18. American Journal of Physiology 274 (43): H1264-H1268.

Tyml, K., J. Yu, and D.G. McCormack. 1998. Capillary and arteriolar responses to local vasodilators are impaired in a rat model of sepsis. Journal of Applied Physiology 84 (3): 837-844.


YU, J.

Mitchell, D.J., J. Yu, and K. Tyml. 1998. Local L-NAME decreases blood flow and increases leukocyte adhesion via CD18. American Journal of Physiology 274 (43): H1264-H1268.

Tyml, K., J. Yu, and D.G. McCormack. 1998. Capillary and arteriolar responses to local vasodilators are impaired in a rat model of sepsis. Journal of Applied Physiology 84 (3): 837-844.